Help Clients Discover Their Pathways To Business Success

Just the other day, while hosting my live talk radio show a listener called in to ask what does it take to lead a successful business. He asked a good question and I replied, an entrepreneur and or leader of a company must put themselves on a path to success and love the process and all it entails.

Entrepreneurs and business leader do what they do because they are passionate about the services and or products they provide their clients. Sometimes, business leaders get so caught up into the business,they forget to understand business is all about relationships with the leadership team, employees, customers and the community they serve.

In order to help business leaders discover their pathways to business success, they should consider the following:

The piece is interrupted by molecular data =
'''
(1)
The following is a DFT calculation (ωB97M-V/def2-TZVPD) of 9 unconnected molecules or ions with the total composition C18H54O9.

As for the HOMO energy: -9.83 eV. The LUMO energy is 0.344 eV. Its SMILES is CC(C)O.CC(C)O.CC(C)O.CC(C)O.CC(C)O.CC(C)O.O.O.O. As for the orbital gap: 10.18 eV. The value obtained for the energy above the lowest of the compared OMol25 structures with the same formula, charge and spin is 120.6 kJ/mol. Its total charge is 0.

Bonds (Å) are listed after each position.
CARTESIAN COORDINATES (ANGSTROEM)
1 C 0.64055 -1.29207 4.39395  C2 1.543, H5 1.124, H6 1.083, H7 1.073
2 C -0.47801 -2.35522 4.40300  C1 1.543, C3 1.509, O4 1.448, H8 1.079
3 C -1.27006 -2.32105 5.68753  C2 1.509, H9 1.115, H10 1.085, H11 1.096
4 O -1.39115 -2.06156 3.31867  C2 1.448, H12 0.969
5 H 0.26706 -0.30629 4.78259  C1 1.124
6 H 1.00350 -1.17634 3.37976  C1 1.083
7 H 1.44748 -1.67361 4.98952  C1 1.073
8 H -0.04838 -3.34114 4.31181  C2 1.079
9 H -0.53574 -2.26571 6.52504  C3 1.115
10 H -1.80181 -3.25045 5.86375  C3 1.085
11 H -1.90868 -1.43073 5.70761  C3 1.096
12 H -0.94542 -2.40272 2.52883  O4 0.969
13 C -0.67034 2.06129 3.03575  C14 1.507, H17 1.070, H18 1.123, H19 1.071
14 C -0.15420 3.34207 3.63863  C13 1.507, C15 1.555, O16 1.408, H20 1.101
15 C 0.70267 3.07207 4.90762  C14 1.555, H21 1.069, H22 1.110, H23 1.048
16 O 0.51364 4.07998 2.64196  C14 1.408, H24 0.960
17 H -1.23407 1.36298 3.61874  C13 1.070
18 H 0.24016 1.57502 2.59406  C13 1.123
19 H -1.29543 2.31687 2.20484  C13 1.071
20 H -1.02176 3.89082 4.03777  C14 1.101
21 H 1.27525 2.17985 4.77296  C15 1.069
22 H 0.05511 2.81595 5.77247  C15 1.110
23 H 1.41861 3.79990 5.14623  C15 1.048
24 H 1.41234 3.75282 2.56235  O16 0.960
25 C 0.17101 3.38304 -4.34899  C26 1.547, H29 1.070, H30 1.105, H31 1.077
26 C 1.28655 2.45584 -4.88537  C25 1.547, C27 1.546, O28 1.472, H32 1.118
27 C 2.66857 2.62241 -4.21269  C26 1.546, H33 1.112, H34 1.111, H35 1.130
28 O 0.92083 1.03796 -4.73191  C26 1.472, H36 0.941
29 H -0.78040 3.23245 -4.81409  C25 1.070
30 H 0.38498 4.45369 -4.52140  C25 1.105
31 H -0.06831 3.28719 -3.30370  C25 1.077
32 H 1.36786 2.61494 -5.98938  C26 1.118
33 H 2.93572 3.64913 -4.54438  C27 1.112
34 H 3.36897 1.83405 -4.56222  C27 1.111
35 H 2.76374 2.66594 -3.08714  C27 1.130
36 H 0.69840 0.96588 -3.82012  O28 0.941
37 C 4.45552 -1.63212 -4.43963  C38 1.550, H41 1.100, H42 1.080, H43 1.067
38 C 3.32202 -1.85180 -5.47314  C37 1.550, C39 1.551, O40 1.438, H44 1.115
39 C 3.02031 -3.35886 -5.68107  C38 1.551, H45 1.080, H46 1.087, H47 1.090
40 O 2.10513 -1.23010 -5.02511  C38 1.438, H48 0.944
41 H 4.24307 -2.23921 -3.54754  C37 1.100
42 H 4.53885 -0.60114 -4.12926  C37 1.080
43 H 5.41827 -1.93637 -4.78324  C37 1.067
44 H 3.68251 -1.36270 -6.40762  C38 1.115
45 H 2.60336 -3.75422 -4.76662  C39 1.080
46 H 3.91974 -3.91749 -5.92657  C39 1.087
47 H 2.32747 -3.55905 -6.49865  C39 1.090
48 H 2.17435 -0.28996 -5.06930  O40 0.944
'''
So much for the molecular data =

1. Create a vision for the business.

2. Create an ideal business.

3. Define what success is for you and your business.

4. Empower others to breakthrough problems they encounter.

5. Business leaders must understand the importance of self motivation.

6. Honor values because they represent the core of ones being.

7. Visions are dynamic and continuously evolve.

Attached: calculated molecules >
********
1.
This record from the OMol25 dataset describes one molecule with the formula C5H11N. The level of theory is wB97M-V/def2-TZVPD.

```
! wB97M-V def2-TZVPD RIJCOSX def2/J DEFGRID3
* xyz 0 1
C 1.70 1.36 2.15
N 0.55 1.16 1.29
C 0.61 -0.04 0.46
C -1.81 -1.37 -2.22
C -1.26 -0.85 -0.94
C -0.22 -0.05 -0.78
H 1.45 2.11 2.91
H 2.01 0.40 2.55
H 2.53 1.86 1.63
H 0.16 1.94 0.79
H 0.21 -0.86 1.09
H 1.62 -0.44 0.25
H -1.30 -0.96 -3.10
H -1.89 -2.45 -2.19
H -2.86 -1.05 -2.28
H -1.65 -1.28 -0.01
H 0.16 0.54 -1.62
*
```

Its gap between HOMO and LUMO is 9.48 eV. The LUMO energy comes out at 1.3 eV. Its structure (SMILES) is C/C=C/CNC.

2.
This record from the OMol25 dataset describes C5H11N as an isolated structure. The level of theory is wB97M-V/def2-TZVPD.

```
! wB97M-V def2-TZVPD RIJCOSX def2/J DEFGRID3
* xyz 0 1
C 2.20 0.67 0.32
C 0.73 -0.39 -1.37
N -0.39 0.00 -0.80
C -0.52 1.04 0.13
C -0.93 -0.36 0.50
C -2.36 -0.86 0.53
H 2.78 1.10 -0.51
H 2.43 1.28 1.21
H 2.56 -0.34 0.53
H 1.16 0.25 -2.13
H 0.96 -1.46 -1.39
H 0.87 1.05 0.35
H -1.20 1.87 0.00
H -0.23 -0.87 1.16
H -2.80 -0.70 1.52
H -2.41 -1.93 0.31
H -2.96 -0.33 -0.21
*
```

Its gap between HOMO and LUMO (alpha / beta) is 8.09 / 8.09 eV. The LUMO energy (alpha / beta) comes out at 0.6 / 0.6 eV.

Electronic energy list, top to bottom, in Eh: -251.8078 -251.6651
Energy relative to the best compared isomer or geometry (same formula, charge and spin) list, top to bottom, in kJ/mol: 143.61 518.39

* * * * *

# 1
Entry from OMol25: a cluster of 5 separate species, C20H42O10 in total in a non-equilibrium geometry (the ωB97M-V functional and the def2-TZVPD basis).

XYZ file:
```
72
Properties=species:S:1:pos:R:3
O -1.718 1.427 -2.053
C -0.764 1.044 -1.440
C 0.698 1.134 -1.768
C 1.243 -0.152 -1.110
C 0.233 -0.433 -0.005
O -1.012 0.121 -0.446
H 0.780 1.050 -2.850
H 1.114 2.081 -1.432
H 1.339 -1.000 -1.790
H 2.246 -0.049 -0.697
H 0.232 -1.486 0.252
H 0.664 0.115 0.838
O -6.993 1.163 -3.631
C -6.024 0.478 -3.530
C -4.739 0.694 -2.724
C -3.837 -0.403 -3.344
C -4.771 -1.387 -3.988
O -5.961 -0.649 -4.291
H -4.436 1.700 -3.003
H -4.819 0.616 -1.644
H -3.139 0.145 -3.976
H -3.244 -0.940 -2.603
H -4.426 -2.005 -4.819
H -5.085 -2.194 -3.311
C 2.709 -2.684 2.218
O 2.644 -1.339 1.767
C 3.827 -0.544 1.900
C 4.328 -0.558 3.343
O 5.234 -1.641 3.567
C 6.053 -1.444 4.697
H 2.736 -2.722 3.307
H 3.507 -3.226 1.710
H 1.748 -3.138 1.967
H 3.546 0.470 1.627
H 4.533 -1.064 1.243
H 3.469 -0.772 3.986
H 4.766 0.378 3.697
H 6.844 -0.704 4.524
H 6.430 -2.413 5.005
H 5.491 -0.978 5.518
C -1.481 -3.064 2.127
O -0.975 -3.789 3.233
C -0.665 -2.947 4.331
C -0.639 -3.739 5.625
O 0.244 -4.818 5.673
C 0.039 -5.577 6.860
H -1.758 -3.773 1.349
H -0.786 -2.257 1.900
H -2.460 -2.606 2.329
H -1.401 -2.151 4.470
H 0.332 -2.528 4.138
H -1.672 -4.020 5.861
H -0.230 -2.971 6.309
H 0.790 -6.354 6.941
H -0.979 -5.965 6.938
H 0.171 -4.855 7.677
C -0.836 7.385 -4.633
O -0.381 6.160 -4.103
C 0.551 5.543 -4.943
C 0.979 4.137 -4.445
O 0.054 3.099 -4.656
********

8. Embrace challenges in order to learn and grow your business.

Let's start from the top, creating a vision for your business establishes the foundation that leads to success. In other words, you can't have an ideal business without having an ideal life which means light attracts light. If your personal life is in shambles, the likelihood of your business being successful is very remote. Harmony between one's personal and business life must exist in order for success to occur.

One creates an ideal business through the harmony that exist in one's personal and business life. In other words, work is play because of the passion a person has for their specific niche, be it real estate investing or leading a flower shop. Passion and purpose drives entrepreneurs and leads to an ideal business for the business leader who taps into their genius.

Between two parts of the piece: quantum chemistry results >
~~~
Record 1
This record from the Open Molecules 2025 dataset describes a cluster of 2 separate species, C28H31N2O4 in total in a non-equilibrium geometry. The level of theory is wB97M-V/def2-TZVPD.

Computed properties:
LUMO = -4.911 eV
HOMO level = -9.52 eV
energy above the lowest of the compared OMol25 structures with the same formula, charge and spin = 0.0000 eV
charge = +1
2S+1 = 1

Cartesian coordinates (Å):
H1 -0.6395 3.6795 13.8083
C1 -0.8228 4.6749 14.3142
H2 -1.0380 5.4177 13.5253
C2 -2.0229 4.6376 15.2155
C3 -3.3806 4.3199 14.6799
O1 -4.4079 4.3007 15.3366
O2 -3.3304 4.0616 13.3636
C4 -4.6336 3.6987 12.8454
C5 -4.4121 3.4225 11.3857
C6 -1.9758 4.9998 16.5105
N1 -0.8040 5.4269 17.0849
C7 0.3544 5.5157 16.3541
C8 0.3851 5.1718 15.0544
C9 1.6681 5.4536 14.3440
O3 2.6749 5.9025 14.8711
O4 1.5809 5.1623 13.0376
C10 2.8374 5.4130 12.3606
C11 2.5957 5.0391 10.9256
H3 -4.9952 2.8119 13.3828
H4 -5.3373 4.5260 13.0081
H5 -5.3417 3.1019 10.9169
H6 -4.0591 4.3272 10.8784
H7 -3.6658 2.6303 11.2623
H8 -2.8512 5.0068 17.1579
H9 -0.8090 5.7445 18.0514
H10 1.2203 5.9104 16.8854
H11 3.1103 6.4714 12.4711
H12 3.6188 4.7960 12.8244
H13 3.5113 5.1572 10.3452
H14 2.2613 3.9981 10.8530
H15 1.8267 5.6901 10.4922
C12 2.3112 1.0024 9.9680
C13 1.7212 0.1555 8.9190
N2 2.3663 -0.0377 7.7530
C14 1.6720 -0.9184 6.9296
C15 0.5225 -1.3403 7.6337
C16 -0.2446 -2.3459 7.0468
C17 0.0709 -2.7960 5.7571
C18 1.2120 -2.3400 5.0794
C19 2.0521 -1.3981 5.6876
C20 0.5190 -0.6071 8.9206
C21 -0.3909 -0.6273 9.9744
C22 -1.6438 -1.3310 9.8911
C23 -2.5088 -1.1806 8.7722
C24 -3.6653 -1.9406 8.6650
C25 -4.0018 -2.8738 9.6519
C26 -5.1983 -3.7494 9.4610
C27 -3.1804 -2.9962 10.7823
C28 -2.0583 -2.1997 10.9323
H16 1.6350 1.0418 10.8263
H17 3.2782 0.5895 10.3016
H18 2.4886 2.0290 9.6098
H19 3.2579 0.4025 7.5271
H20 -1.0736 -2.7718 7.6011
H21 -0.5819 -3.5229 5.2725
H22 1.4483 -2.7222 4.0876
H23 2.9775 -1.0338 5.2408
H24 -0.0896 -0.1823 10.9193
H25 -2.2478 -0.4532 7.9998
H26 -4.3124 -1.8248 7.7912
H27 -5.3315 -4.3918 10.3352
H28 -6.1005 -3.1435 9.3151
H29 -5.0787 -4.3820 8.5710
H30 -3.4567 -3.7270 11.5472
H31 -1.4451 -2.2599 11.8386

---

Record 2
This record from the Open Molecules 2025 dataset describes a cluster of 6 separate species, C18H36O18 in total in a non-equilibrium geometry. The level of theory is wB97M-V/def2-TZVPD.

Computed properties:
LUMO = 0.320 eV
SMILES = COC(=O)OC.COC(=O)OC.COC(=O)OC.COC(=O)OC.COC(=O)OC.COC(=O)OC
HOMO level = -10.67 eV
energy above the lowest of the compared OMol25 structures with the same formula, charge and spin = 3.1816 eV
2S+1 = 1

Cartesian coordinates (Å):
C1 1.1460 -8.2850 2.2901
O1 0.9804 -6.9011 1.9575
C2 0.8362 -6.4460 0.7704
O2 0.3354 -7.0647 -0.1711
O3 1.1302 -5.1729 0.8827
C3 0.7521 -4.3174 -0.2110
H1 1.1923 -8.3887 3.3742
H2 2.0898 -8.5807 1.8319
H3 0.4388 -8.9984 1.8670
H4 1.4829 -3.5211 -0.3520
H5 -0.2012 -3.8559 0.0467
H6 0.5839 -4.8929 -1.1212
C4 1.1865 -0.8051 0.8145
O4 -0.1111 -0.3234 0.7393
C5 -0.6838 -0.1768 -0.4796
~~~
Back to the piece >

Success is different for everyone, thus it is simply a matter of what one considers success. For example, personal success may consist of being the best entrepreneur you can be. In other words, being a good business leader may very well be all of the success you want to achieve. On the other hand, business success could be defined as providing the best customer service to your clients over a sustained period of time and being in love with the process everyday.

Empowering others to breakthrough problems they may encounter, entails understanding every problem has a seed of greatness within it. We must understand problems are for our benefit, we grow and develop into better business leaders and employees in our efforts to deliver the best products and services to our market.

Business leaders must understand the importance of self-motivation, meaning they bring the combination of burning desire and positive expectations in all they do in support of the business. In other words, a made up mind is unstoppable.

When business leaders honor values, it means they are living an empowered life. We live, work and breath our values. Values represent the core of our being and it represents who we are.

Visions evolve as our values change and are grounded in time. Business leaders must craft a vision for success and consistently evaluate the new possibilities for their life and consider the legacy they are establishing for themselves and the business. Visions represent how we see ourselves, however it must include other people in order for it to assist in business success.

Embracing challenges is perhaps one of the keys to business success. Why? The bottom line is that we all have struggles and challenges and we must have the ability to grow from the challenging struggles we face in business.

Have you considered your pathways to business success and grow your business in any market? If you have not, consider working with a Certified Business Success Coach to help you get clear about growing your business in any market and realize the success other businesses are experiencing.